Repeat all of the material further below unchanged.
'''
--- one ---
DFT (wB97M-V/def2-TZVPD) results for a 13-piece molecular cluster, C78H65F13 overall.

Calculated values
HOMO-LUMO gap, Ha: 0.35079

Bonds (Å) are listed after each position.
Element x y z (Å)
1 F -3.31346 2.14971 1.66681  C2 1.330
2 C -4.12512 3.07226 1.15701  F1 1.330, C3 1.377, C7 1.367
3 C -3.93208 4.40556 1.44322  C2 1.377, C4 1.412, H8 1.080
4 C -4.81039 5.37397 0.91111  C3 1.412, C5 1.352, H9 1.080
5 C -5.93410 5.02288 0.24614  C4 1.352, C6 1.409, H10 1.080
6 C -6.10279 3.67568 -0.13161  C5 1.409, C7 1.408, H11 1.080
7 C -5.21351 2.72521 0.40609  C2 1.367, C6 1.408, H12 1.080
8 H -3.10175 4.82245 1.99381  C3 1.080
9 H -4.56837 6.38730 1.19572  C4 1.080
10 H -6.68399 5.74291 -0.04649  C5 1.080
11 H -6.86900 3.29064 -0.78818  C6 1.080
12 H -5.33769 1.68468 0.14479  C7 1.080
13 F -2.63839 -4.98315 2.96327  C14 1.367
14 C -3.04767 -3.68701 3.10437  F13 1.367, C15 1.384, C19 1.401
15 C -3.98293 -3.30208 4.04982  C14 1.384, C16 1.408, H20 1.080
16 C -4.25957 -1.92884 4.19612  C15 1.408, C17 1.395, H21 1.080
17 C -3.75861 -0.98431 3.30046  C16 1.395, C18 1.400, H22 1.080
18 C -2.85124 -1.43197 2.33215  C17 1.400, C19 1.398, H23 1.080
19 C -2.47490 -2.77272 2.21003  C14 1.401, C18 1.398, H24 1.080
20 H -4.43975 -4.00024 4.73561  C15 1.080
21 H -4.87566 -1.63823 5.03420  C16 1.080
22 H -3.98128 0.07120 3.35243  C17 1.080
23 H -2.47473 -0.74795 1.58598  C18 1.080
24 H -1.73013 -3.02947 1.47124  C19 1.080
25 F 0.68847 7.46357 -0.40982  C26 1.354
26 C 0.05091 6.28065 -0.57681  F25 1.354, C27 1.399, C31 1.392
27 C -0.43272 5.92928 -1.84200  C26 1.399, C28 1.423, H32 1.080
28 C -0.94740 4.61340 -2.01446  C27 1.423, C29 1.366, H33 1.080
29 C -0.97053 3.71992 -0.98171  C28 1.366, C30 1.358, H34 1.080
30 C -0.45250 4.06358 0.22586  C29 1.358, C31 1.408, H35 1.080
31 C 0.01194 5.36958 0.47442  C26 1.392, C30 1.408, H36 1.080
32 H -0.38278 6.74467 -2.54843  C27 1.080
33 H -1.33223 4.28604 -2.96900  C28 1.080
34 H -1.46013 2.76226 -1.07959  C29 1.080
35 H -0.45715 3.36796 1.05199  C30 1.080
36 H 0.58604 5.56058 1.36904  C31 1.080
37 F 3.54957 1.44848 -6.81793  C38 1.349
38 C 3.04779 2.06386 -5.72775  F37 1.349, C39 1.387, C43 1.384
39 C 2.81450 1.31937 -4.58139  C38 1.387, C40 1.383, H44 1.080
40 C 2.27498 1.89959 -3.44749  C39 1.383, C41 1.376, H45 1.080
41 C 2.00824 3.24921 -3.44272  C40 1.376, C42 1.403, H46 1.080
42 C 2.17831 3.97749 -4.63017  C41 1.403, C43 1.358, H47 1.080
43 C 2.81266 3.42773 -5.69755  C38 1.384, C42 1.358, H48 1.080
44 H 2.98890 0.25359 -4.59055  C39 1.080
45 H 1.93275 1.27229 -2.63769  C40 1.080
46 H 1.52735 3.66674 -2.57046  C41 1.080
47 H 2.00857 5.04378 -4.65470  C42 1.080
48 H 2.95933 4.00752 -6.59685  C43 1.080
49 F 2.52313 -0.50111 2.75174  C50 1.342
50 C 1.90354 -0.85944 3.88672  F49 1.342, C51 1.392, C55 1.378
51 C 0.52524 -0.75628 4.05467  C50 1.392, C52 1.344, H56 1.080
52 C -0.06866 -1.22486 5.16503  C51 1.344, C53 1.414, H57 1.080
53 C 0.74716 -1.79685 6.16851  C52 1.414, C54 1.350, H58 1.080
54 C 2.09523 -1.83001 6.10100  C53 1.350, C55 1.384, H59 1.080
55 C 2.65429 -1.38246 4.91721  C50 1.378, C54 1.384, H60 1.080
56 H -0.10236 -0.29422 3.30699  C51 1.080
57 H -1.14301 -1.28460 5.25783  C52 1.080
58 H 0.28415 -2.17738 7.06696  C53 1.080
59 H 2.75081 -2.35642 6.77887  C54 1.080
60 H 3.70685 -1.43459 4.68098  C55 1.080
61 F 1.49302 -4.47400 -2.92414  C62 1.362
62 C 0.92681 -4.10062 -4.10490  F61 1.362, C63 1.408, C67 1.380
63 C 1.54630 -3.12083 -4.90420  C62 1.408, C64 1.382, H68 1.080
64 C 0.94673 -2.66366 -6.06223  C63 1.382, C65 1.344, H69 1.080
65 C -0.18153 -3.27577 -6.45908  C64 1.344, C66 1.388, H70 1.080
66 C -0.85496 -4.19017 -5.66081  C65 1.388, C67 1.419, H71 1.080
67 C -0.34573 -4.55254 -4.38708  C62 1.380, C66 1.419, H72 1.080
68 H 2.54778 -2.78495 -4.67921  C63 1.080
69 H 1.51097 -1.98662 -6.68644  C64 1.080
70 H -0.55960 -2.99092 -7.42982  C65 1.080
71 H -1.81385 -4.60063 -5.94092  C66 1.080
72 H -0.83636 -5.27316 -3.74960  C67 1.080
73 F 5.82772 1.58956 1.66385  C74 1.348
'''
--- one ---
DFT (wB97M-V/def2-TZVPD) results for a 13-piece molecular cluster, C78H65F13 overall.

Calculated values
HOMO-LUMO gap, Ha: 0.35079

Bonds (Å) are listed after each position.
Element x y z (Å)
1 F -3.31346 2.14971 1.66681  C2 1.330
2 C -4.12512 3.07226 1.15701  F1 1.330, C3 1.377, C7 1.367
3 C -3.93208 4.40556 1.44322  C2 1.377, C4 1.412, H8 1.080
4 C -4.81039 5.37397 0.91111  C3 1.412, C5 1.352, H9 1.080
5 C -5.93410 5.02288 0.24614  C4 1.352, C6 1.409, H10 1.080
6 C -6.10279 3.67568 -0.13161  C5 1.409, C7 1.408, H11 1.080
7 C -5.21351 2.72521 0.40609  C2 1.367, C6 1.408, H12 1.080
8 H -3.10175 4.82245 1.99381  C3 1.080
9 H -4.56837 6.38730 1.19572  C4 1.080
10 H -6.68399 5.74291 -0.04649  C5 1.080
11 H -6.86900 3.29064 -0.78818  C6 1.080
12 H -5.33769 1.68468 0.14479  C7 1.080
13 F -2.63839 -4.98315 2.96327  C14 1.367
14 C -3.04767 -3.68701 3.10437  F13 1.367, C15 1.384, C19 1.401
15 C -3.98293 -3.30208 4.04982  C14 1.384, C16 1.408, H20 1.080
16 C -4.25957 -1.92884 4.19612  C15 1.408, C17 1.395, H21 1.080
17 C -3.75861 -0.98431 3.30046  C16 1.395, C18 1.400, H22 1.080
18 C -2.85124 -1.43197 2.33215  C17 1.400, C19 1.398, H23 1.080
19 C -2.47490 -2.77272 2.21003  C14 1.401, C18 1.398, H24 1.080
20 H -4.43975 -4.00024 4.73561  C15 1.080
21 H -4.87566 -1.63823 5.03420  C16 1.080
22 H -3.98128 0.07120 3.35243  C17 1.080
23 H -2.47473 -0.74795 1.58598  C18 1.080
24 H -1.73013 -3.02947 1.47124  C19 1.080
25 F 0.68847 7.46357 -0.40982  C26 1.354
26 C 0.05091 6.28065 -0.57681  F25 1.354, C27 1.399, C31 1.392
27 C -0.43272 5.92928 -1.84200  C26 1.399, C28 1.423, H32 1.080
28 C -0.94740 4.61340 -2.01446  C27 1.423, C29 1.366, H33 1.080
29 C -0.97053 3.71992 -0.98171  C28 1.366, C30 1.358, H34 1.080
30 C -0.45250 4.06358 0.22586  C29 1.358, C31 1.408, H35 1.080
31 C 0.01194 5.36958 0.47442  C26 1.392, C30 1.408, H36 1.080
32 H -0.38278 6.74467 -2.54843  C27 1.080
33 H -1.33223 4.28604 -2.96900  C28 1.080
34 H -1.46013 2.76226 -1.07959  C29 1.080
35 H -0.45715 3.36796 1.05199  C30 1.080
36 H 0.58604 5.56058 1.36904  C31 1.080
37 F 3.54957 1.44848 -6.81793  C38 1.349
38 C 3.04779 2.06386 -5.72775  F37 1.349, C39 1.387, C43 1.384
39 C 2.81450 1.31937 -4.58139  C38 1.387, C40 1.383, H44 1.080
40 C 2.27498 1.89959 -3.44749  C39 1.383, C41 1.376, H45 1.080
41 C 2.00824 3.24921 -3.44272  C40 1.376, C42 1.403, H46 1.080
42 C 2.17831 3.97749 -4.63017  C41 1.403, C43 1.358, H47 1.080
43 C 2.81266 3.42773 -5.69755  C38 1.384, C42 1.358, H48 1.080
44 H 2.98890 0.25359 -4.59055  C39 1.080
45 H 1.93275 1.27229 -2.63769  C40 1.080
46 H 1.52735 3.66674 -2.57046  C41 1.080
47 H 2.00857 5.04378 -4.65470  C42 1.080
48 H 2.95933 4.00752 -6.59685  C43 1.080
49 F 2.52313 -0.50111 2.75174  C50 1.342
50 C 1.90354 -0.85944 3.88672  F49 1.342, C51 1.392, C55 1.378
51 C 0.52524 -0.75628 4.05467  C50 1.392, C52 1.344, H56 1.080
52 C -0.06866 -1.22486 5.16503  C51 1.344, C53 1.414, H57 1.080
53 C 0.74716 -1.79685 6.16851  C52 1.414, C54 1.350, H58 1.080
54 C 2.09523 -1.83001 6.10100  C53 1.350, C55 1.384, H59 1.080
55 C 2.65429 -1.38246 4.91721  C50 1.378, C54 1.384, H60 1.080
56 H -0.10236 -0.29422 3.30699  C51 1.080
57 H -1.14301 -1.28460 5.25783  C52 1.080
58 H 0.28415 -2.17738 7.06696  C53 1.080
59 H 2.75081 -2.35642 6.77887  C54 1.080
60 H 3.70685 -1.43459 4.68098  C55 1.080
61 F 1.49302 -4.47400 -2.92414  C62 1.362
62 C 0.92681 -4.10062 -4.10490  F61 1.362, C63 1.408, C67 1.380
63 C 1.54630 -3.12083 -4.90420  C62 1.408, C64 1.382, H68 1.080
64 C 0.94673 -2.66366 -6.06223  C63 1.382, C65 1.344, H69 1.080
65 C -0.18153 -3.27577 -6.45908  C64 1.344, C66 1.388, H70 1.080
66 C -0.85496 -4.19017 -5.66081  C65 1.388, C67 1.419, H71 1.080
67 C -0.34573 -4.55254 -4.38708  C62 1.380, C66 1.419, H72 1.080
68 H 2.54778 -2.78495 -4.67921  C63 1.080
69 H 1.51097 -1.98662 -6.68644  C64 1.080
70 H -0.55960 -2.99092 -7.42982  C65 1.080
71 H -1.81385 -4.60063 -5.94092  C66 1.080
72 H -0.83636 -5.27316 -3.74960  C67 1.080
73 F 5.82772 1.58956 1.66385  C74 1.348